SIMON BIRMINGHAM: Last night in the Senate, the Government rejected Coalition attempts to provide an option to streamline environmental laws as they relate to coal seam gas. Important new laws are passing the Parliament* as it relates to coal seam gas but the Coalition wants to make sure that we eliminate duplication between the federal and state governments in the application of these laws, just as we want to establish a one-stop shop for environmental approvals that eliminates duplication across all environmental laws right around Australia.
The Government’s confirmed that the 17 pages of new environmental laws being proposed will cost $38 million just to administer in the Canberra bureaucracy, that 50 new staff in the department of Environment [Department of Sustainability, Environment, Water, Population and Communities] will be required just to administer these new laws around coal seam gas.
We believe that, rather than duplicating laws between the state level and the Commonwealth level, we should apply of course the highest possible standard but have a one-stop shop that allows for seamless approvals at both the state and federal level.
It’s a grave concern that Labor and the Greens rejected Coalition amendments that could save taxpayers money, that could save industry ‘red tape’ regulatory costs, that could make our system far more efficient in this regard and it’s a great concern that the Government, in doing so, imposes higher costs on the taxpayer, a higher bureaucracy here in Canberra, rather than seizing the opportunity to reduce those types of costs and it just once again demonstrates that Labor is completely reckless with taxpayers’ money, doesn’t really care about reining in costs and is quite happy to impose higher regulatory burdens on Australian industry when there is very definitely a better way to streamline these types of mechanisms.
JOURNALIST: Judi Moylan yesterday lamented the fact that moderates within the Liberal Party have perhaps disappeared. Do you share any of those same concerns?
SIMON BIRMINGHAM: Look, I would perhaps suggest that I’m standing right here and I hope to be here for a little while to come. Look, I’ve been proud to be a champion of liberal values within the Liberal Party. That’s something that I will continue to do. I’ll continue to support other candidates and Members to do that very same thing. I’ve got no doubt that there will be strong liberal voices and strong conservative voices in the Liberal Party going forward which is what is so important to ensure our party is reflective of the broad spectrum of Australian views.
JOURNALIST: She also encouraged Tony Abbott to allow more of his Members, more of the Liberal Party, to be able to vote with their conscience. Do you agree with that and perhaps on the issue of gay marriage?
SIMON BIRMINGHAM: Well, I’ve made my views on that particular issue known for a long time. Judi has been, can I say, an outstanding contributor to the Parliament and she will be a very real loss to the Coalition party room and to the Liberal Party in particular but, as one Member leaves this place, others replace and I have no doubt there will be fabulous new voices who will come into the party room. The important thing in politics nowadays is, yes, that we present a unified, disciplined approach but the most important thing in the Liberal party is that we have great freedom within our party room to speak our mind, to argue the issues and, indeed, freedom that is denied of Labor MPs to go into the Parliament and cross the floor if you so wish. Judi is one who’s exercised that right over the years – others will do so in the future – but it is a right that, like so many rights, should be used preciously, cautiously and on very rare occasions when it is really, really justified.
**Inserted here: crystal structures**
/*
No. 1
NaH3O2 (r2SCAN, relaxed); calculated total energy = -5.5929 eV per atom; crystal system = monoclinic; formation energy from the elements = -1.2805 eV/atom; magnetization = 0.000 μB per formula unit
1.0
11.2712 0.0000 0.0000
0.0000 5.9421 -0.0077
0.0000 0.0177 6.1433
Na H O
8 24 16
direct
0.5546 0.7917 0.3598
0.4462 0.7079 0.8593
0.9462 0.2921 0.6407
0.0546 0.2083 0.1402
0.4454 0.2083 0.6402
0.5538 0.2921 0.1407
0.0538 0.7079 0.3593
0.9454 0.7917 0.8598
0.8658 0.0598 0.2147
0.8688 0.8914 0.4314
0.1301 0.6092 0.9284
0.1342 0.4412 0.7117
0.6301 0.3908 0.5716
0.6342 0.5588 0.7883
0.3688 0.1086 0.0686
0.3658 0.9402 0.2853
0.1312 0.1086 0.5686
0.1342 0.9402 0.7853
0.8699 0.3908 0.0716
0.8658 0.5588 0.2883
0.3658 0.4412 0.2117
0.3699 0.6092 0.4284
0.6342 0.0598 0.7147
0.6312 0.8914 0.9314
0.7136 0.1227 0.4296
0.2855 0.3790 0.9270
0.7855 0.6210 0.5730
0.2136 0.8773 0.0704
0.2864 0.8773 0.5704
0.7145 0.6210 0.0730
0.2145 0.3790 0.4270
0.7864 0.1227 0.9296
0.8827 0.0487 0.3754
0.1162 0.4522 0.8720
0.6162 0.5478 0.6280
0.3827 0.9513 0.1246
0.1173 0.9513 0.6246
0.8838 0.5478 0.1280
0.3838 0.4522 0.3720
0.6173 0.0487 0.8754
0.6296 0.1406 0.4619
0.3694 0.3600 0.9596
0.8694 0.6400 0.5404
0.1296 0.8594 0.0381
0.3704 0.8594 0.5381
0.6306 0.6400 0.0404
0.1306 0.3600 0.4596
0.8704 0.1406 0.9619

***

No. 2
NaH9O5 (r2SCAN, relaxed); calculated total energy = -5.4455 eV per atom; crystal system = orthorhombic; formation energy from the elements = -1.1440 eV/atom; magnetization = 0.000 μB per formula unit
1.0
6.2023 0.0000 0.0000
0.0000 6.1064 0.0000
0.0000 0.0000 12.8466
Na H O
4 36 20
direct
0.5086 0.2487 0.7503
0.4914 0.7487 0.7497
0.0086 0.2513 0.2497
0.9914 0.7513 0.2503
0.9161 0.1799 0.9504
0.0839 0.6799 0.5496
0.4161 0.3201 0.0496
0.5839 0.8201 0.4504
0.4267 0.9810 0.9360
0.5733 0.4810 0.5640
0.9267 0.5190 0.0640
0.0733 0.0190 0.4360
0.1951 0.0254 0.8938
0.8049 0.5254 0.6062
0.6951 0.4746 0.1062
0.3049 0.9746 0.3938
0.8592 0.9938 0.8239
0.1408 0.4938 0.6761
0.3592 0.5062 0.1761
0.6408 0.0062 0.3239
0.8752 0.0135 0.6980
0.1248 0.5135 0.8020
0.3752 0.4865 0.3020
0.6248 0.9865 0.1980
0.4335 0.9897 0.5605
0.5665 0.4897 0.9395
0.9335 0.5103 0.4395
0.0665 0.0103 0.0605
0.2035 0.0254 0.6090
0.7965 0.5254 0.8910
0.7035 0.4746 0.3910
0.2965 0.9746 0.1090
0.9440 0.2421 0.5504
0.0560 0.7421 0.9496
0.4440 0.2579 0.4496
0.5560 0.7579 0.0504
0.7835 0.0484 0.5147
0.2165 0.5484 0.9853
0.2835 0.4516 0.4853
0.7165 0.9516 0.0147
0.9321 0.0222 0.9514
0.0679 0.5222 0.5486
0.4321 0.4778 0.0486
0.5679 0.9778 0.4514
0.3464 0.0098 0.8717
0.6536 0.5098 0.6283
0.8464 0.4902 0.1283
0.1536 0.9902 0.3717
0.7815 0.9815 0.7566
0.2185 0.4815 0.7434
0.2815 0.5185 0.2434
0.7185 0.0185 0.2566
0.3528 0.0001 0.6279
0.6472 0.5001 0.8721
0.8528 0.4999 0.3721
0.1472 0.9999 0.1279
0.9259 0.0833 0.5505
0.0741 0.5833 0.9495
0.4259 0.4167 0.4495
0.5741 0.9167 0.0505

* * * * *

In4Se3N2 | PBE | relaxed

Properties
*/
JOURNALIST: But not on the issue of gay marriage?
SIMON BIRMINGHAM: Well, I think in future, I hope, that we will see some changes there but those are debates for the next Parliament.
*Environment Protection and Biodiversity Conservation Amendment Bill 2013